My mom loves me. I love my mom. With these and many other similar phrases I was taught to read and write the Salesian Sisters of Castellar street in Seville when he was 4 years and then Lasallian Brothers, De La Salle Brothers, with 5 years. then it had to be early by force because studies began long before now had to start reading and writing very soon. I also spent a year with a private teacher and other students in a nursery. I do not remember what it was called the teacher, but she had a good relationship, but not with the Salesian Sisters, which told them he did not want to write because I was not wanted. So I was rebellious at the beginning of my life. They were stories that told me my mother, who lived all my things as their own because I was always worried about me. He was always on me, stubborn that was happy above all.
She continually showed me his love. With kisses, caresses, hugs. I was however very unfriendly and hardly showed love to my mother. For a long time I felt guilty for being so cold but fortunately my mother got over the guilt complex with a lot of will and with the help of psychotherapy. It was so hard to be loving as I thought. Now I remember you and I can say that I love on the fourth anniversary of your death will meet next January. Four years already without you, but you otherwise. Because I believe in the hereafter, I think that there is another life that will give us, I will give you the opportunity to compensate me for my mistakes, which are many. And those who still have me committed. An article is the least you deserve for how good you were always with me.

I remember you've always been very patient with me. Small, and have a good memory for it, I stood on the roof and I asomabas from the parapet into the street to distract me with pedestrians and cars so he could eat. Tardabas forever to feed me. I took a century for each scoop. And I also remember how much crying in the crib and how he always had to end up in bed with Dad and you to sleep. I guess annoyed, but I was very small. I always my favorite comics you bought to get used to reading and to develop my imagination because I almost always said he wanted to be a writer. And I started writing with 7 years. A rather scribbling. And you you understood very well. I have given in this life to many things, but all that has always been true to myself is Literature. And you never put my objections to it.
I always remember you gave up for me at school because of problems with peers and teachers. And I remember when was the high school wanted to leave in the second year and between you and the Head of Studies convencisteis me not to leave him. That made picked more confidence in myself and draw ten plates of honor ten subjects in the third year. And four salient and three plates of honor in COU. In Selectivity I took a note of 8.1.Y started studying Journalism and Philology, but I did not feel well the nerves and I did not feel well without being able to write. I left journalism in third grade and Philology at first. You understood it very well. You know that the literature was basic to me and I could not leave her. I worked as a waiter. After the National Statistics Institute. And finally in the Ministry of Finance, where I quoted to have the pension that now I have and that allows me to live.
With seven years I also began to show symptoms of disease and nervous, which I had inherited it my father, like my sisters. And you took me to Jesus D. Romero, the neuropsychiatrist who treated my father. And after the Red Cross to Dr. Cabello. And then Dr. Hernandez Deeds, who works at the Mental Health Center that now I'm going to see the doctor Martin. And you took me even professor of psychiatry at the University of Seville, with how expensive it cost. I then went out with a girl who had schizophrenia. And the psychiatrist told me I could not help someone sick if I too was also needed help. That has never been forgotten because it is quite true.
I remember over the years and learned to show affection and I invited you and Dad to go to Lanjarón to take the waters every year. Dad lived that with extra enthusiasm and served him take the water much for your liver problems and nerve problems. And to you served for your rheumatoid arthritis that you caused a tremendous pain and swelling like the hands of a brutal manner. I suffered much for you then and understood how much you had suffered for me since childhood.
I can now say openly that my mom loves me, I love my mom.
At present despite your death because to me you still exist in another form of life I can not explain why only be achieved by faith. You recited every night, I remember well, but never ended up believing in another life that was not it. I'll see you when I die.
Between two parts of the text: quantum chemistry results:
┌──
# 1
# C22H35BrNiO2P2

C22H35BrNiO2P2 as an isolated structure (ωB97M-V/def2-TZVPD, the Open Molecules 2025 dataset).

Last column: Löwdin spin population.
Cartesian coordinates (Å):
P -1.191 2.024 -1.853  0.094
P -2.662 -1.050 0.223  0.006
C -2.328 0.630 -2.115  0.039
C -3.234 0.204 -0.959  0.006
H -1.733 -0.196 -2.537  0.001
H -2.946 1.051 -2.918  0.009
H -3.570 1.077 -0.379  0.002
H -4.139 -0.233 -1.404  0.001
C -3.547 -2.543 -0.428  0.006
H -3.216 -3.429 0.134  0.004
H -3.347 -2.700 -1.500  0.000
H -4.627 -2.407 -0.281  0.000
C -3.491 -0.845 1.807  0.004
H -4.476 -1.328 1.769  0.000
H -3.610 0.222 2.019  0.000
H -2.889 -1.307 2.596  0.001
C -0.492 2.009 -3.463  0.017
H 0.423 2.592 -3.609  0.000
H -1.316 2.462 -4.024  0.005
H -0.326 0.986 -3.824  0.000
C -2.397 3.379 -1.614  0.012
H -2.857 3.168 -0.648  0.002
H -2.985 3.307 -2.535  -0.001
H -1.829 4.305 -1.492  0.007
Ni -1.134 2.894 -0.081  0.507
C -0.990 -2.161 0.695  0.105
C -0.461 -3.179 -0.108  0.562
C -0.534 -3.297 -1.549  0.092
C 0.794 -2.741 -2.160  0.054
C 0.681 -1.268 -2.366  0.003
C 1.069 -0.436 -1.411  0.011
C 0.248 -0.157 -0.187  0.014
C 0.172 -1.121 0.956  0.065
C 0.690 3.355 -0.409  0.213
H -1.274 -2.587 1.661  0.022
H 0.284 -3.783 0.415  0.023
H -1.380 -2.738 -1.983  0.000
H -0.664 -4.356 -1.848  0.024
H 1.599 -2.959 -1.447  0.001
H 0.985 -3.299 -3.078  0.005
H 0.586 -0.996 -3.426  0.001
H 1.730 0.403 -1.663  0.002
H -0.798 0.079 -0.458  0.005
H 0.632 0.785 0.204  0.001
H 1.144 -1.629 1.064  0.002
H -0.050 -0.541 1.877  0.006
H 0.657 3.948 0.521  0.040
H 0.955 3.948 -1.307  0.015
H 1.349 2.492 -0.311  0.008
Br 1.269 0.379 4.345  0.001
C 3.089 0.393 3.864  0.000
C 4.086 -0.138 4.709  0.000
C 5.420 -0.179 4.251  0.000
C 5.783 0.323 2.981  0.000
C 4.807 0.913 2.186  0.000
C 3.479 0.941 2.622  0.000
C 2.478 1.509 1.611  0.001
O 2.742 1.155 0.422  0.000
O 1.600 2.236 2.116  0.002
H 3.801 -0.499 5.700  0.000
H 6.185 -0.619 4.887  0.000
H 6.796 0.256 2.566  0.000
H 4.958 1.295 1.172  0.000

Properties
Total energy in eV: -157128.160
2S+1: 3
Molar mass in Da: 532.1
Expectation value of S²: 2.0147
Energy relative to the best compared isomer or geometry (same formula, charge and spin) in kcal per mole: 207.0

# 2
# C5H14

A 2-piece molecular cluster, C5H14 overall (ωB97M-V/def2-TZVPD, the Open Molecules 2025 dataset).

Last column: Mulliken charge in e.
Cartesian coordinates (Å):
C -1.901 -0.775 -2.102  -1.460
C -0.894 -0.332 -1.023  0.109
C 0.239 -1.335 -0.855  -1.113
H -2.368 -1.725 -1.839  0.356
H -2.643 -0.005 -2.316  0.364
H -1.339 -0.966 -3.026  0.369
H -0.506 0.625 -1.360  0.236
H -1.483 -0.187 -0.116  0.207
H 1.202 -0.858 -1.025  0.226
H 0.235 -1.795 0.137  0.254
H 0.197 -2.174 -1.557  0.441
C 0.467 1.456 1.968  -0.742
C 1.889 0.916 1.855  -0.575
H 0.348 2.265 1.245  0.260
H -0.340 0.748 1.802  0.156
H 0.207 1.927 2.927  0.320
H 1.873 0.288 0.953  0.019
H 2.649 1.663 1.654  0.312
H 2.168 0.262 2.678  0.261

Properties
Total energy in eV: -5411.757
Molar mass in Da: 74.2
└──
The text goes on:
I was strong when you died. I saw the stiff, cold funeral home, with a pupa that you had done on the lip days earlier. I was able to see you dead. Then I was able to hold the requiem mass and the parade of condolence from the audience. And I was able to hold the funeral and how the builders dammed the niche with cement and bricks. It was a very cold day and rain. I remembered a scene from the movie The Barefoot Contessa with Ava Gardner and Humphrey Bogart. The film always present in my life even in the most critical moments. In this film there was also a scene of a funeral with rain and open umbrella. It was all very cold. The worst was then come home and find he was alone, without you, and forever. They had been met verses of Jorge Manrique. Life in a round point is finished. Since then he had to learn to live alone and without you, that was the worst.
But before your death from Parkinson's and Alzheimer you enjoyed because I tried to make it up to my coldness teenager. Took you to all the places you wanted: to see sing Raphael, to see Los Morancos de Triana, Isla Magica, the Cycle Theatre and School, the International Puppet Festival of Seville, the Feria, Circus, to Easter, etc ... I do enough for you as you had done for me since childhood, from the parapet on the roof where you gave me to eat. Now I was the one who gave you food to you. They had turned the tables and I made up my coldness and immature teenager. And every day you read your beloved ABC newspaper. You tragabas it whole.
I was more of El Correo de Andalucía for having worked on it. Also the New Andalusia, which had disappeared. I brought flowers occasionally, Ferrero Rocher chocolates that loved you, etc ... It was easier than I thought the show affection, love, affection. And so it was gradually compensating my teenage fault.
When you died I lived with a woman who left me when I took a major depression for your departure at 80 years. I had to then enter and was the first and only admission to a psychiatric unit of my life, specifically in the Virgen Macarena Hospital. There I spent 15 days. There I mourn your death. There I met a psychiatrist who was interested in me and put the treatment that I have now and I'm pulling it. You already know how are diseases of nerves because you grabbed a good depression with Dad's death in 1992. know the ups and downs that has the soul when holstered by depression. In the hospital I became stronger and was able to put all the clothes in order, clean house and start living alone. And I'm alone since. I had a recent relationship with a girl but has gone wrong and now I'm tired of failures and would rather settle with my solitude. Nor it is tragic and is bearable.
You always told me that was your favorite son, causing jealousy of my sisters. They were always jealous of me. You always told me when he went out at night I called you because you cared for me. And you asked me to call when I was traveling to my two favorite destinations: Madrid and Arcos de la Frontera. You were afraid for me and thought I was going to pass something that almost always traveled alone. He had always been very lonely, although he had good friends, but now the disease had gotten me into a tremendous loneliness, but that did not prevent her to be happy. Occasionally I am traveling with my son. You wanted it so much. I also know that was your favorite grandchild.

Perhaps because it was the first or maybe because it was my son. I do not know. But you always wondered the child, how he was, how he was studies. I'm living things as if it were yesterday. But it's been almost four years of your death and the void does not fill anyone or anything, but I hope in the afterlife. Do not forget.
Now you will have seen that there was another life, much more beautiful than this. And eternal. There is time for everything. Wait for me in memory once wrote in a poem dedicated to you. Well now I repeat: to wait for me in memory to wait for me in memory, all that we live together, a piece goes this article. I could tell many things about you, about me, about us. Do not stop. A memoir gives to our relationship. It was intense and had everything from the worst to the best.
Now my son behaves with me also a little coldly, but someday understand that it is not necessary to be so cold with a parent. Nobody is perfect and understand that love a father is so important, for example, how to love his girlfriend. They are simply different loves. And it is a matter of time, knowing distribute the time. It is a matter of investing the energy in the best possible way among all people want.
I, mother, you just wish you well.
You're happy where you are right now. Make you feel at ease. You have patience until I get there. Less is left. Every day that passes is one day less to our reunion. And that I wish you, dear readers, to be patient with loved ones and faith in another dimension where loved ones who are no longer impatient waiting for us to arrive. Be happy because faith long ago. Health and luck.